Originally published in the Spectator

With inflation rampant, growth stagnant, government disintegrating, and nothing working – so I’d read, all due to Brexit, naturally – it was a wonder to fly into Heathrow, breeze through customs, and smartly get to a smoothly-functioning, clean and new London hotel via train and tube. What had happened to the strike-bound Britain that Poland was about to overtake in GDP per person? Largely the re-moaner fantasy, it seems, so prevalent even among Britons who should know better. Mind you, there were plenty of signs about disruption-to-come via a “pride” march; and there was a vital street near Trafalgar Square partially dug up on the Sunday I arrived, somehow still blocked-off a week later, even though the actual roadwork had all been done. No doubt that was just the car-phobic Labor mayor being bloody-minded to the traffic; but in a week of tripping around London and southern England, the tube worked fine and every train was clean and on time.

London has long been the world’s great meeting place; certainly that’s what it was in late June, although I was probably the only Australian not there for the cricket. My trip was for a series of conferences, concluding with the Board of Trade, ably led by the Secretary of State for Business and Trade, Kemi Badenoch, certainly one of the coming stars of the Tory Party, and an exemplar of modern Britain: bright, confident, impatient of nay-sayers, and intensely proud of a country where a black woman whose parents came from Nigeria can rocket into the world’s most multi-ethnic cabinet. After successfully bringing-into-being the Australia-Britain trade deal (building on Liz Truss’ good work) Badenoch’s next challenge is to seal a deal with India, the world’s fastest growing large economy and the essential strategic counter-weight to communist China, and to bed down Britain’s accession to the Trans-Pacific Partnership. The fact that the world’s best free-trading partnership has welcomed-in “Global Britain” speaks volumes for its standing in the world.

So much for the self-flagellating tosh about Britain being “racist”. In fact, modern Britain, like the rest of the anglosphere, is almost completely colour-blind, as you’d expect in the country that has given the world its common language, the mother of parliaments, the Industrial Revolution and the emancipation of minorities, and whose Royal Navy ended the trans-Atlantic slave trade.

Part of Margaret Thatcher’s immense legacy is the International Democrat Union that she created as the equivalent for centre-right political parties of the Socialist International. Now chaired by former Canadian PM, Stephen Harper, its 40th anniversary conference was pondering “where to” for liberal-conservative politics in the era of climate obsessions and identity politics. Not, at least as far as the three Australian representatives were concerned (John Howard, Scott Morrison and me), a weak compromise with the other side: just marginally less spendthrift, overbearing and politically correct.

While the big challenge for Thatcher and for Ronald Reagan had been beating the Marxism embodied in the old Soviet Union, today’s challenge is beating the neo-Marxism now entrenched in so many of our institutions (especially schools and universities); in some ways a harder one because the enemy is within. Or so I told the Danube Institute, the Hungary-based think tank of former Thatcher adviser John O’Sullivan, taking advantage of the presence of so many luminaries to host a conference in London. The typically-conservative preference for freedom, bias to small business, and respect for all that’s shaped us, most expressed by intense pride in country, might currently be out-of-fashion, especially with the brain-washed young; but it’s hard to have successful liberal-democracy without it. At all the bastions of centre-right thinking I visited, Policy Exchange, the Institute for Economic Affairs, and indeed this wonderful magazine, there was no defeatism; rather a conviction that the emissions obsession would not survive the lights going out; gender fluidity the coming wave of court challenges by youngsters who’d been chemically sterilised; and cultural self-loathing a military challenge from any of the -isms, starting with Putin-ism, that currently threaten the West.

The star of the IDU conference was the former Ukrainian president, Petro Poroshenko, in Britain, among other things, to buy privately British mine-clearing equipment and military ambulances for his country’s armed forces. On the day of last year’s invasion, he’d called President Zelensky to say that he was no longer leader of the opposition because there would be no opposition for the duration of the war. This is the single-minded patriotism that should drive his country to victory. Funnily enough, none of the Ukrainian IDU delegates seemed that fussed about emissions or the gender balance of the armed forces. Let’s hope countries that have had it so good for so long don’t have to wake up the hard way.

**Next to the text, the page also holds materials data**
/*
Record 1
DFT (PBE) results for CeZn4Ga3 after structural relaxation.

Cell lengths 4.2874, 4.2874, 8.0532 Å; angles 90.00, 90.00, 90.00 degrees
With the nearest neighbours (Å) after each atom.
Fractional positions:
Ce (0.0000, 0.0000, 0.0000)  8 Ga 3.26, 8 Zn 3.36
Zn (0.0000, 0.5000, 0.3212)  4 Ga 2.55-2.58
Zn (0.0000, 0.5000, 0.6788)  4 Ga 2.55-2.58
Zn (0.5000, 0.0000, 0.3212)  4 Ga 2.55-2.58
Zn (0.5000, 0.0000, 0.6788)  4 Ga 2.55-2.58
Ga (0.0000, 0.0000, 0.5000)  8 Zn 2.58
Ga (0.5000, 0.5000, 0.1496)  1 Ga 2.41, 4 Zn 2.55
Ga (0.5000, 0.5000, 0.8504)  1 Ga 2.41, 4 Zn 2.55

Results
Space group = P4/mmm
E_form = -0.271 eV per atom
Size of the total moment = 0.4 μB per formula unit


Record 2
DFT (PBE) results for Li2SnMoOs after structural relaxation.

Cell lengths 4.5840, 4.5840, 4.9712 Å; angles 90.00, 90.00, 90.00 degrees
With the nearest neighbours (Å) after each atom.
Fractional positions:
Li (0.0000, 0.5000, 0.0000)  2 Sn 2.29
Li (0.5000, 0.0000, 0.0000)  2 Sn 2.29
Sn (0.0000, 0.0000, 0.0000)  4 Li 2.29, 2 Os 2.49
Mo (0.5000, 0.5000, 0.5000)  4 Os 3.24, 8 Li 3.38
Os (0.0000, 0.0000, 0.5000)  2 Sn 2.49

Results
Space group = P4/mmm
E_form = 1.363 eV per atom
Size of the total moment = 3.0 μB per formula unit


Record 3
DFT (PBE) results for NaCaCe2Se4 after structural relaxation.

Cell lengths 7.3201, 4.2240, 7.3961 Å; angles 90.00, 109.14, 90.00 degrees
With the nearest neighbours (Å) after each atom.
Fractional positions:
Na (0.0000, 0.0000, 0.0000)  6 Se 3.00-3.02
Ca (0.5000, 0.5000, 0.0000)  6 Se 2.99
Ce (0.0000, 0.5000, 0.5000)  6 Se 3.00-3.02
Ce (0.5000, 0.0000, 0.5000)  6 Se 2.98-3.00
Se (0.2527, 0.0000, 0.7522)  2 Ca 2.99, 3 Ce 3.00-3.02, 1 Na 3.00
Se (0.2541, 0.5000, 0.2534)  3 Ce 2.98-3.00, 1 Ca 2.99, 2 Na 3.02
Se (0.7459, 0.5000, 0.7466)  3 Ce 2.98-3.00, 1 Ca 2.99, 2 Na 3.02
Se (0.7473, 0.0000, 0.2478)  2 Ca 2.99, 3 Ce 3.00-3.02, 1 Na 3.00

Results
Space group = P2/m
ΔE_f (raw) = -1.74 eV per atom
Size of the total moment = 2.7 μB per formula unit


Record 4
DFT (PBE) results for Tm2ZnSe4 after structural relaxation.

Cell lengths 8.0805, 8.0805, 8.0805 Å; angles 60.00, 60.00, 60.00 degrees
With the nearest neighbours (Å) after each atom.
Fractional positions:
Tm (0.0000, 0.0000, 0.0000)  6 Se 2.83
Tm (0.0000, 0.0000, 0.5000)  6 Se 2.83
Tm (0.0000, 0.5000, 0.0000)  6 Se 2.83
Tm (0.5000, 0.0000, 0.0000)  6 Se 2.83
Zn (0.3750, 0.3750, 0.3750)  4 Se 2.53
Zn (0.6250, 0.6250, 0.6250)  4 Se 2.53
Se (0.2421, 0.7526, 0.7526)  1 Zn 2.53, 3 Tm 2.83
Se (0.2474, 0.2474, 0.2474)  1 Zn 2.53, 3 Tm 2.83
Se (0.2474, 0.2474, 0.7579)  1 Zn 2.53, 3 Tm 2.83
Se (0.2474, 0.7579, 0.2474)  1 Zn 2.53, 3 Tm 2.83
Se (0.7526, 0.2421, 0.7526)  1 Zn 2.53, 3 Tm 2.83
Se (0.7526, 0.7526, 0.2421)  1 Zn 2.53, 3 Tm 2.83
Se (0.7526, 0.7526, 0.7526)  1 Zn 2.53, 3 Tm 2.83
Se (0.7579, 0.2474, 0.2474)  1 Zn 2.53, 3 Tm 2.83

Results
Space group = Fd-3m
ΔE_f (raw) = -1.51 eV per atom
Size of the total moment = 0.0 μB per formula unit
*/

My trip’s sponsor was the Global Warming Policy Foundation, started by the late Nigel Lawson, to question the wisdom of placing emissions reduction ahead of protecting jobs, industries and economic and energy security. If the Sunak government wants to avoid ebbing out of office, why not confound the other side by dropping the coming bans on fossil-fuel powered cars and domestic heating, and once more allowing oil and gas exploration in the North Sea? In every Australian election where climate policy has been an issue –  2010, 2013 and 2019 – it’s been the climate zealots that have come off second best.

These materials data were left in the article by mistake:
1.
The following is a DFT calculation (PBE) of an optimized crystal structure of Ho2Sc3Fe2.

Cell lengths 11.4728, 3.3566, 9.7729 Å; angles 90.00, 123.73, 90.00 degrees
With the nearest neighbours (Å) after each atom.
Fractional positions:
Ho1 0.0867 0.0000 0.3811  1 Fe 2.82
Ho2 0.4133 0.5000 0.6189  1 Fe 2.82
Ho3 0.5867 0.5000 0.3811  1 Fe 2.82
Ho4 0.9133 0.0000 0.6189  1 Fe 2.82
Sc1 0.0000 0.5000 0.0000  4 Fe 2.90
Sc2 0.2044 0.5000 0.7410  3 Fe 2.67-2.71
Sc3 0.2956 0.0000 0.2590  3 Fe 2.67-2.71
Sc4 0.5000 0.0000 0.0000  4 Fe 2.90
Sc5 0.7044 0.0000 0.7410  3 Fe 2.67-2.71
Sc6 0.7956 0.5000 0.2590  3 Fe 2.67-2.71
Fe1 0.1680 0.0000 0.9322  2 Fe 2.31
Fe2 0.3320 0.5000 0.0678  2 Fe 2.31
Fe3 0.6680 0.5000 0.9322  2 Fe 2.31
Fe4 0.8320 0.0000 0.0678  2 Fe 2.31

Total DFT energy (no corrections) in eV per atom: -6.3945
SG: C2/m

---

2.
The following is a DFT calculation (PBE) of an optimized crystal structure of Ho3ScFe8.

Cell lengths 8.7630, 8.7630, 8.7630 Å; angles 33.59, 33.59, 33.59 degrees
With the nearest neighbours (Å) after each atom.
Fractional positions:
Ho1 0.0000 0.0000 0.0000  12 Fe 2.91-2.97, 3 Sc 3.09, 1 Ho 3.12
Ho2 0.1259 0.1259 0.1259  12 Fe 2.97-3.00, 4 Ho 3.11-3.12
Ho3 0.5026 0.5026 0.5026  12 Fe 2.97-3.03, 1 Sc 3.07, 3 Ho 3.11
Sc1 0.6263 0.6263 0.6263  12 Fe 2.93-2.97, 4 Ho 3.07-3.09
Fe1 0.0609 0.5631 0.5631  6 Fe 2.52-2.56
Fe2 0.0647 0.0647 0.5654  6 Fe 2.50-2.55
Fe3 0.0647 0.5654 0.0647  6 Fe 2.50-2.55
Fe4 0.3133 0.3133 0.3133  6 Fe 2.50-2.52
Fe5 0.5631 0.0609 0.5631  6 Fe 2.52-2.56
Fe6 0.5631 0.5631 0.0609  6 Fe 2.52-2.56
Fe7 0.5654 0.0647 0.0647  6 Fe 2.50-2.55
Fe8 0.8139 0.8139 0.8139  6 Fe 2.55-2.56

Total DFT energy (no corrections) in eV per atom: -7.4506
SG: R3m

---

3.
The following is a DFT calculation (PBE) of an optimized crystal structure of Ho2ScFe.

Cell lengths 3.3439, 3.3439, 30.7251 Å; angles 90.00, 90.00, 120.00 degrees
With the nearest neighbours (Å) after each atom.
Fractional positions:
Ho1 0.0000 0.0000 0.1042  3 Fe 2.72
Ho2 0.0000 0.0000 0.8958  3 Fe 2.72
Ho3 0.3333 0.6667 0.5624  3 Fe 2.72
Ho4 0.3333 0.6667 0.7709  3 Fe 2.72
Ho5 0.6667 0.3333 0.2291  3 Fe 2.72
Ho6 0.6667 0.3333 0.4376  3 Fe 2.72
Sc1 0.0000 0.0000 0.0000  2 Ho 3.20, 6 Sc 3.34
Sc2 0.3333 0.6667 0.6667  2 Ho 3.20, 6 Sc 3.34
Sc3 0.6667 0.3333 0.3333  2 Ho 3.20, 6 Sc 3.34
Fe1 0.0000 0.0000 0.5000  6 Ho 2.72
Fe2 0.3333 0.6667 0.1667  6 Ho 2.72
Fe3 0.6667 0.3333 0.8333  6 Ho 2.72

Total DFT energy (no corrections) in eV per atom: -5.6283
Relative energy among the computed polymorphs in eV per atom: 0.4058
SG: R-3m

---

4.
The following is a DFT calculation (PBE) of an optimized crystal structure of HoSc2Fe9.

Cell lengths 8.4084, 8.4084, 8.4084 Å; angles 34.30, 34.30, 34.30 degrees
With the nearest neighbours (Å) after each atom.
Fractional positions:
Ho1 0.0000 0.0000 0.0000  18 Fe 2.86-3.19
Sc1 0.1431 0.1431 0.1431  12 Fe 2.85-2.92, 3 Sc 3.07
Sc2 0.8569 0.8569 0.8569  12 Fe 2.85-2.92, 3 Sc 3.07
Fe1 0.0820 0.5855 0.5855  7 Fe 2.43-2.50

A highlight was the dinner to mark the bi-centenary of the Oxford Union. Michael Heseltine gave a fine speech, except for his final instruction to the young people present to lead Britain back into the EU. My role was to propose the toast: “to the United Kingdom and the Commonwealth – closer than in decades” I added, “thanks to Brexit”. Cheeky, but I think I got away with it!